== Source ==
The following is a PBE calculation of a relaxed ZnRe2Ir crystal, from Alexandria.

Values from the calculation:
- crystal system = tetragonal
- formation enthalpy at 0 K (meV/atom) = 833.0
- energy above the lowest structure with this stoichiometry (meV/atom) = 837

a b c (Å): 7.2506 7.2506 5.0780
angles (deg): 90.00 90.00 90.00
Space group I-42d (No. 122)
Asymmetric unit:
1 Zn 0.0000 0.0000 0.0000 [4 per cell]
2 Re 0.2207 0.2500 0.6250 [8 per cell]
3 Ir 0.0000 0.0000 0.5000 [4 per cell]

----------

Record 1
Density functional theory data (PBE-GGA) for a geometry-optimized TiRh2W structure.

The structure in extended XYZ format:
```
8
Lattice="-1.9780 1.9780 8.5171 1.9780 -1.9780 8.5171 1.9780 1.9780 -8.5171" Properties=species:S:1:pos:R:3 pbc="T T T"
Ti 0.0000 0.0000 0.0000
Ti 0.0000 1.9780 4.2585
Rh 2.9669 0.9792 -2.1293
Rh 0.9792 0.9890 2.1293
Rh -0.9890 0.9988 6.3878
Rh 0.9988 0.9890 10.6463
W 1.9780 0.0000 4.2585
W 0.0000 0.0000 8.5171
```

Computed properties:
Energy of formation   0.228 eV per atom
Distance to the lowest polymorph of the same formula   595.9 meV per atom
V   66.64 Å³/f.u.
Total magnetization   0.000 μB per formula unit
Space-group type   I-42d

=====

Record 2
Density functional theory data (PBE-GGA) for a geometry-optimized BaCa2CuRh structure.

The structure in extended XYZ format:
```
5
Lattice="5.4116 0.0000 0.0000 0.0000 5.4116 0.0000 0.0000 0.0000 5.2257" Properties=species:S:1:pos:R:3 pbc="T T T"
Ba 0.0000 0.0000 0.0000
Ca 0.0000 2.7058 2.6128
Ca 2.7058 0.0000 2.6128
Cu 2.7058 2.7058 0.0000
Rh 2.7058 2.7058 2.6128
```

Computed properties:
Energy of formation   -0.006 eV per atom
V   153.03 Å³/f.u.
Total magnetization   0.000 μB per formula unit
Space-group type   P4/mmm

=====

Record 3
Density functional theory data (PBE-GGA) for a geometry-optimized Mg2Al5Ga12 structure.

The structure in extended XYZ format:
```
19
Lattice="7.7975 -2.9103 0.0000 7.7975 2.9103 0.0000 -1.7554 0.0000 8.5060" Properties=species:S:1:pos:R:3 pbc="T T T"
Mg 7.7975 1.4858 0.0000
Mg 7.7975 -1.4858 0.0000
Al 0.7497 0.0000 7.2081
Al 2.0521 0.0000 2.7795
Al 6.9197 0.0000 4.2530
Al 11.7874 0.0000 5.7265
Al 13.0898 0.0000 1.2979
Ga -0.5028 0.0000 2.9812
Ga 3.1821 1.3039 7.6109
Ga 4.3779 1.4061 3.5087
Ga 6.0522 0.0000 1.6699
Ga 9.4616 1.4061 4.9972
Ga 10.6574 1.3039 0.8951
Ga 3.1821 -1.3039 7.6109
Ga 4.3779 -1.4061 3.5087
Ga 7.7873 0.0000 6.8360
Ga 9.4616 -1.4061 4.9972
Ga 10.6574 -1.3039 0.8951
Ga 14.3423 0.0000 5.5247
```

Computed properties:
Energy of formation   0.085 eV per atom
V   386.05 Å³/f.u.
Total magnetization   0.000 μB per formula unit
Space-group type   C2/m

=====

Record 4
Density functional theory data (PBE-GGA) for a geometry-optimized KRe2Rh structure.

The structure in extended XYZ format:
```
4
Lattice="5.0362 0.0000 0.0000 0.0000 5.0362 0.0000 0.0000 0.0000 2.6954" Properties=species:S:1:pos:R:3 pbc="T T T"
K 0.0000 0.0000 0.0000
Re 0.0000 2.5181 1.3477
Re 2.5181 0.0000 1.3477
Rh 2.5181 2.5181 0.0000
```

Computed properties:
Energy of formation   1.739 eV per atom
Distance to the lowest polymorph of the same formula   1142.4 meV per atom
V   68.36 Å³/f.u.
Total magnetization   0.000 μB per formula unit
Space-group type   P4/mmm

=====

Question: Look up the total magnetization of the third one.
Answer: 0.000 μB per formula unit

=====

Question: energy of formation of number 2 (BaCa2CuRh)?
Answer: -0.006 eV per atom

=====

Question: energy of formation of number 1 (TiRh2W)?
Answer: 0.228 eV per atom

----------

# BaMnO3

BaMnO3 after structural relaxation (PBE with a Hubbard U, the Alexandria database).

Cell lengths 4.0387, 4.0381, 4.0388 Å; angles 90.00, 90.00, 90.00 degrees
Closest atoms and distances in Å follow each position.
Element x y z (fractional)
Mn 0.5058 0.5059 0.5058  6 O 2.02
O 0.0058 0.5057 0.5058  2 Mn 2.02
O 0.5058 0.0058 0.5058  2 Mn 2.02
O 0.5058 0.5057 0.0058  2 Mn 2.02
Ba 0.0058 0.0058 0.0058  12 O 2.86

Calculated values

== What to do ==
Could you transcribe the whole of the data above verbatim?

== Result ==
The following is a PBE calculation of a relaxed ZnRe2Ir crystal, from Alexandria.

Values from the calculation:
- crystal system = tetragonal
- formation enthalpy at 0 K (meV/atom) = 833.0
- energy above the lowest structure with this stoichiometry (meV/atom) = 837

a b c (Å): 7.2506 7.2506 5.0780
angles (deg): 90.00 90.00 90.00
Space group I-42d (No. 122)
Asymmetric unit:
1 Zn 0.0000 0.0000 0.0000 [4 per cell]
2 Re 0.2207 0.2500 0.6250 [8 per cell]
3 Ir 0.0000 0.0000 0.5000 [4 per cell]

----------

Record 1
Density functional theory data (PBE-GGA) for a geometry-optimized TiRh2W structure.

The structure in extended XYZ format:
```
8
Lattice="-1.9780 1.9780 8.5171 1.9780 -1.9780 8.5171 1.9780 1.9780 -8.5171" Properties=species:S:1:pos:R:3 pbc="T T T"
Ti 0.0000 0.0000 0.0000
Ti 0.0000 1.9780 4.2585
Rh 2.9669 0.9792 -2.1293
Rh 0.9792 0.9890 2.1293
Rh -0.9890 0.9988 6.3878
Rh 0.9988 0.9890 10.6463
W 1.9780 0.0000 4.2585
W 0.0000 0.0000 8.5171
```

Computed properties:
Energy of formation   0.228 eV per atom
Distance to the lowest polymorph of the same formula   595.9 meV per atom
V   66.64 Å³/f.u.
Total magnetization   0.000 μB per formula unit
Space-group type   I-42d

=====

Record 2
Density functional theory data (PBE-GGA) for a geometry-optimized BaCa2CuRh structure.

The structure in extended XYZ format:
```
5
Lattice="5.4116 0.0000 0.0000 0.0000 5.4116 0.0000 0.0000 0.0000 5.2257" Properties=species:S:1:pos:R:3 pbc="T T T"
Ba 0.0000 0.0000 0.0000
Ca 0.0000 2.7058 2.6128
Ca 2.7058 0.0000 2.6128
Cu 2.7058 2.7058 0.0000
Rh 2.7058 2.7058 2.6128
```

Computed properties:
Energy of formation   -0.006 eV per atom
V   153.03 Å³/f.u.
Total magnetization   0.000 μB per formula unit
Space-group type   P4/mmm

=====

Record 3
Density functional theory data (PBE-GGA) for a geometry-optimized Mg2Al5Ga12 structure.

The structure in extended XYZ format:
```
19
Lattice="7.7975 -2.9103 0.0000 7.7975 2.9103 0.0000 -1.7554 0.0000 8.5060" Properties=species:S:1:pos:R:3 pbc="T T T"
Mg 7.7975 1.4858 0.0000
Mg 7.7975 -1.4858 0.0000
Al 0.7497 0.0000 7.2081
Al 2.0521 0.0000 2.7795
Al 6.9197 0.0000 4.2530
Al 11.7874 0.0000 5.7265
Al 13.0898 0.0000 1.2979
Ga -0.5028 0.0000 2.9812
Ga 3.1821 1.3039 7.6109
Ga 4.3779 1.4061 3.5087
Ga 6.0522 0.0000 1.6699
Ga 9.4616 1.4061 4.9972
Ga 10.6574 1.3039 0.8951
Ga 3.1821 -1.3039 7.6109
Ga 4.3779 -1.4061 3.5087
Ga 7.7873 0.0000 6.8360
Ga 9.4616 -1.4061 4.9972
Ga 10.6574 -1.3039 0.8951
Ga 14.3423 0.0000 5.5247
```

Computed properties:
Energy of formation   0.085 eV per atom
V   386.05 Å³/f.u.
Total magnetization   0.000 μB per formula unit
Space-group type   C2/m

=====

Record 4
Density functional theory data (PBE-GGA) for a geometry-optimized KRe2Rh structure.

The structure in extended XYZ format:
```
4
Lattice="5.0362 0.0000 0.0000 0.0000 5.0362 0.0000 0.0000 0.0000 2.6954" Properties=species:S:1:pos:R:3 pbc="T T T"
K 0.0000 0.0000 0.0000
Re 0.0000 2.5181 1.3477
Re 2.5181 0.0000 1.3477
Rh 2.5181 2.5181 0.0000
```

Computed properties:
Energy of formation   1.739 eV per atom
Distance to the lowest polymorph of the same formula   1142.4 meV per atom
V   68.36 Å³/f.u.
Total magnetization   0.000 μB per formula unit
Space-group type   P4/mmm

=====

Question: Look up the total magnetization of the third one.
Answer: 0.000 μB per formula unit

=====

Question: energy of formation of number 2 (BaCa2CuRh)?
Answer: -0.006 eV per atom

=====

Question: energy of formation of number 1 (TiRh2W)?
Answer: 0.228 eV per atom

----------

# BaMnO3

BaMnO3 after structural relaxation (PBE with a Hubbard U, the Alexandria database).

Cell lengths 4.0387, 4.0381, 4.0388 Å; angles 90.00, 90.00, 90.00 degrees
Closest atoms and distances in Å follow each position.
Element x y z (fractional)
Mn 0.5058 0.5059 0.5058  6 O 2.02
O 0.0058 0.5057 0.5058  2 Mn 2.02
O 0.5058 0.0058 0.5058  2 Mn 2.02
O 0.5058 0.5057 0.0058  2 Mn 2.02
Ba 0.0058 0.0058 0.0058  12 O 2.86

Calculated values